Contents =
=====
Entry 1:
CsKMgH4: simulated powder XRD pattern (Cu Kα, 1.54184 Å), based on the PBE geometry in Alexandria.
Intensities are scaled so that the largest is 100.

Largest 8 diffraction maxima, in order of rising 2θ, 5 to 70 degrees two-theta:
index, 2θ/deg, d/Å, I (rel.)
1 1 0, 16.23, 5.462, 32.4
0 2 1, 19.48, 4.556, 24.3
1 1 1, 22.20, 4.004, 31.0
1 3 1, 28.37, 3.146, 100.0
2 0 0, 30.32, 2.948, 49.6
1 5 0, 34.65, 2.589, 18.6
2 0 2, 43.41, 2.084, 18.7
3 3 1, 52.62, 1.739, 17.1

Structural model:
Cell lengths 5.9038, 14.3830, 5.8879 Å; angles 90.00, 90.00, 90.00 degrees
Space group Cmcm (No. 63)
Asymmetric unit:
Cs 0.0000 0.0971 0.2500 [4 per cell]
K 0.0000 0.3812 0.2500 [4 per cell]
Mg 0.0000 0.2512 0.7500 [4 per cell]
H 0.0000 0.1162 0.7500 [4 per cell]
H 0.0000 0.3903 0.7500 [4 per cell]
H 0.2500 0.2500 0.0000 [8 per cell]

=====

Entry 2:
HoAl2Cu2Si: simulated powder XRD pattern (Cu Kα, 1.54184 Å), based on the PBE geometry in Alexandria.
Intensities are scaled so that the largest is 100.

Largest 8 diffraction maxima, in order of rising 2θ, 5 to 70 degrees two-theta:
index, 2θ/deg, d/Å, I (rel.)
1 0 0, 19.97, 4.446, 41.2
1 0 1, 25.82, 3.450, 38.7
0 0 2, 32.73, 2.736, 25.1
1 1 1, 32.86, 2.726, 100.0
1 0 2, 38.64, 2.330, 49.4
2 0 0, 40.58, 2.223, 53.0
2 1 2, 57.28, 1.608, 31.1
3 1 1, 68.94, 1.362, 33.1

Structural model:
Cell lengths 4.4458, 4.4458, 5.4715 Å; angles 90.00, 90.00, 90.00 degrees
Space group P4/mmm (No. 123)
Asymmetric unit:
Ho 0.0000 0.0000 0.0000 [1 per cell]
Al 0.5000 0.5000 0.2343 [2 per cell]
Cu 0.0000 0.5000 0.5000 [2 per cell]
Si 0.0000 0.0000 0.5000 [1 per cell]

~~~~~

NaAlH2CO5: theoretical X-ray diffraction stick pattern (Cu Kα, 1.54184 Å), based on DFT lattice parameters and positions (PBE).

Structural model:
Cell: 5.6431 6.8575 10.4056 Å, 90.00 90.00 90.00°
Space group Imma (No. 74)
Inequivalent atoms, fractional coordinates:
Na (0.0000, 0.0000, 0.0000) (multiplicity 4)
Al (0.2500, 0.2500, 0.2500) (multiplicity 4)
H (0.0000, 0.0490, 0.7198) (multiplicity 8)
C (0.0000, 0.2500, 0.5006) (multiplicity 4)
O (0.0000, 0.0694, 0.2250) (multiplicity 8)
O (0.0000, 0.2500, 0.6227) (multiplicity 4)
O (0.2016, 0.2500, 0.4371) (multiplicity 8)

Principal peaks in the range 2θ from 10° to 90°, in order of rising 2θ:
d = 5.726 Å, 15.5°, intensity 100, (0 1 1); d = 3.429 Å, 26.0°, intensity 13, (0 2 0); d = 2.821 Å, 31.7°, intensity 69, (1 2 1); d = 2.601 Å, 34.5°, intensity 19, (0 0 4); d = 2.531 Å, 35.5°, intensity 17, (2 1 1); d = 2.179 Å, 41.4°, intensity 23, (2 2 0); d = 1.991 Å, 45.6°, intensity 17, (0 1 5); d = 1.751 Å, 52.2°, intensity 22, (2 3 1); d = 1.714 Å, 53.5°, intensity 14, (0 4 0); d = 1.670 Å, 55.0°, intensity 18, (2 2 4)

~~~~~

Simulated powder XRD pattern of AcNd4Er2 for a wavelength of 1.5418 Å, from a GGA-PBE-relaxed structure.
No peak broadening, texture or thermal motion is included.

```
data_AcNd4Er2
_chemical_formula_sum 'Ac3 Nd12 Er6'
_cell_length_a 5.8053
_cell_length_b 5.8053
_cell_length_c 25.3497
_cell_angle_alpha 90.00
_cell_angle_beta 90.00
_cell_angle_gamma 120.00
_symmetry_space_group_name_H-M 'R -3 m'
_symmetry_Int_Tables_number 166
_symmetry_space_group_name_Hall '-R 3 2"'
loop_
_atom_site_label
_atom_site_type_symbol
_atom_site_fract_x
_atom_site_fract_y
_atom_site_fract_z
Ac1 Ac 0.0000 0.0000 0.0000
Nd1 Nd 0.0000 0.0000 0.2684
Nd2 Nd 0.0000 0.0000 0.4231
Er1 Er 0.0000 0.0000 0.1389
```

Top 12 peaks for 2θ from 10° to 80°, by angle:
=====
What to do =
Please give back the lines earlier on up to the one that holds "31.0", that line included.
Completed =
Entry 1:
CsKMgH4: simulated powder XRD pattern (Cu Kα, 1.54184 Å), based on the PBE geometry in Alexandria.
Intensities are scaled so that the largest is 100.

Largest 8 diffraction maxima, in order of rising 2θ, 5 to 70 degrees two-theta:
index, 2θ/deg, d/Å, I (rel.)
1 1 0, 16.23, 5.462, 32.4
0 2 1, 19.48, 4.556, 24.3
1 1 1, 22.20, 4.004, 31.0